Now quote the listing further below from the first line to the one with "(7.28295, 6.71424," with every line break kept.

____________
A cluster of 14 separate species, C56H154N14O14 in total in a non-equilibrium geometry. Source: the Open Molecules 2025 dataset; level of theory: ωB97M-V with the def2-TZVPD basis set.

Atoms and positions in Å:
C (4.12599, 4.00112, -1.12938)
C (3.64434, 5.44627, -1.24513)
C (4.75443, 6.38925, -1.61336)
O (5.73669, 6.31851, -0.61830)
C (6.85397, 7.05655, -0.96039)
N (2.50931, 5.51312, -2.31224)
H (4.68160, 3.88797, -0.18984)
H (4.85486, 3.76123, -1.91365)
H (3.31102, 3.29004, -1.14125)
H (3.19509, 5.79307, -0.30954)
H (4.40756, 7.43429, -1.74112)
H (5.19845, 6.15520, -2.60570)
H (7.64301, 6.90062, -0.22510)
H (6.64147, 8.13088, -1.02692)
H (7.28295, 6.71424, -1.91831)
H (2.97785, 5.58144, -3.22914)
H (2.12676, 6.46551, -2.16955)
C (-0.46086, -7.18252, 0.82550)
C (0.83414, -6.55810, 1.28032)
C (0.79618, -5.03705, 1.45346)
O (0.22610, -4.34940, 0.37770)
C (1.04707, -4.34238, -0.77686)
N (1.29027, -7.24299, 2.52645)
H (-0.33851, -8.13244, 0.32101)
H (-0.95323, -6.48855, 0.13497)
H (-1.12876, -7.31781, 1.68134)
H (1.60135, -6.84480, 0.54679)
H (1.80934, -4.60745, 1.57774)
H (0.22966, -4.75137, 2.34961)
H (1.27916, -5.35535, -1.12834)
H (1.99029, -3.83065, -0.49440)
H (0.62771, -3.75481, -1.58851)
H (2.19654, -6.83390, 2.82358)
H (0.71272, -6.89826, 3.31974)
C (-3.84439, 3.38178, 4.06058)
C (-2.94800, 2.94617, 2.94532)
C (-1.89564, 2.02047, 3.48897)
O (-1.18035, 2.73542, 4.41078)
C (-0.07063, 2.14679, 4.90609)
N (-3.79253, 2.31696, 1.86576)
H (-4.56188, 4.13062, 3.69275)
H (-3.33803, 3.83517, 4.90902)
H (-4.46781, 2.54396, 4.39099)
H (-2.40685, 3.84454, 2.58376)
H (-1.29110, 1.55465, 2.69704)
H (-2.43611, 1.17400, 3.96483)
H (0.78538, 1.99334, 4.23257)
H (-0.33605, 1.16226, 5.32122)
H (0.25942, 2.77083, 5.73343)
H (-3.19872, 2.11444, 1.03651)
H (-4.40042, 3.05289, 1.48434)
C (-3.60310, 0.24210, -1.18653)
C (-2.91121, 1.47933, -1.75030)
C (-3.88699, 2.52837, -2.12111)
O (-4.69712, 1.95927, -3.16447)
C (-5.67309, 2.85433, -3.66373)
N (-1.95802, 2.00305, -0.73500)
H (-4.29965, 0.56932, -0.41224)
H (-2.91127, -0.48057, -0.75263)
H (-4.17816, -0.26359, -1.97103)
H (-2.38042, 1.22935, -2.68037)
H (-3.43059, 3.46367, -2.48760)
H (-4.53522, 2.77751, -1.25409)
H (-6.14453, 2.30997, -4.49188)
H (-5.19993, 3.72247, -4.14516)
H (-6.42135, 3.09461, -2.90856)
H (-1.21285, 1.39042, -0.45349)
H (-1.46363, 2.79873, -1.19677)
C (-1.77552, -1.95324, -3.51900)
C (-2.88618, -1.89955, -4.55991)
C (-3.00227, -0.50092, -5.10413)
O (-4.11331, -0.50417, -5.98936)
C (-4.27745, 0.67756, -6.58371)
N (-2.60561, -2.89333, -5.61798)
H (-0.82011, -1.52663, -3.84306)
H (-1.59487, -2.97686, -3.19801)
H (-2.13728, -1.37725, -2.65951)
H (-3.80738, -2.17375, -4.03893)
H (-2.13254, -0.20814, -5.72018)
H (-3.16821, 0.22640, -4.29156)
H (-4.14400, 1.52257, -5.88958)
H (-5.26100, 0.75770, -7.03406)
H (-3.52788, 0.82663, -7.38399)
H (-3.34832, -2.83209, -6.31835)
H (-1.73853, -2.59120, -6.08843)
C (1.52053, -7.89235, -4.34194)
C (1.23729, -7.62864, -5.76786)
C (0.65234, -6.23639, -5.94110)
O (1.37111, -5.32283, -5.16971)
C (0.56713, -4.19582, -4.69709)
N (2.51855, -7.76875, -6.52578)
H (0.63766, -7.58035, -3.76952)
H (2.40268, -7.35564, -4.01248)
H (1.67716, -8.94959, -4.13471)
H (0.48794, -8.31260, -6.17532)
H (-0.43076, -6.19944, -5.71478)
H (0.72194, -5.89961, -6.99269)
H (-0.23856, -4.59808, -4.07660)
H (0.19879, -3.63797, -5.56082)
H (1.28655, -3.62484, -4.10900)
H (3.03595, -6.90400, -6.35835)
H (2.35649, -7.86388, -7.52107)
C (0.27069, -5.22432, 7.88813)
C (0.26748, -3.69361, 7.91381)
C (-1.03296, -3.07778, 7.54529)
O (-1.54960, -3.43823, 6.25581)
C (-0.86442, -2.86124, 5.17905)
N (0.63341, -3.21777, 9.30817)
H (-0.25672, -5.61534, 7.01257)
H (-0.13299, -5.62708, 8.80744)
H (1.31584, -5.52242, 7.74865)
H (1.04476, -3.36590, 7.19306)
H (-0.95377, -1.98365, 7.66326)
H (-1.79786, -3.39073, 8.26326)
H (-1.14382, -1.80082, 5.00214)
H (-1.11176, -3.37243, 4.23734)
H (0.22705, -2.90276, 5.26296)
H (1.61023, -3.45910, 9.45855)
H (0.54599, -2.19106, 9.34327)
____________

A cluster of 14 separate species, C56H154N14O14 in total in a non-equilibrium geometry. Source: the Open Molecules 2025 dataset; level of theory: ωB97M-V with the def2-TZVPD basis set.

Atoms and positions in Å:
C (4.12599, 4.00112, -1.12938)
C (3.64434, 5.44627, -1.24513)
C (4.75443, 6.38925, -1.61336)
O (5.73669, 6.31851, -0.61830)
C (6.85397, 7.05655, -0.96039)
N (2.50931, 5.51312, -2.31224)
H (4.68160, 3.88797, -0.18984)
H (4.85486, 3.76123, -1.91365)
H (3.31102, 3.29004, -1.14125)
H (3.19509, 5.79307, -0.30954)
H (4.40756, 7.43429, -1.74112)
H (5.19845, 6.15520, -2.60570)
H (7.64301, 6.90062, -0.22510)
H (6.64147, 8.13088, -1.02692)
H (7.28295, 6.71424, -1.91831)